School laptops: worth the hassle or not?


William Mullinax

With the required usage and collection of personal laptops, a handful of students suffer dissatisfaction with the services provided by the computers and the overall functionality of the laptops. The opinion of students differs on the worth of struggling with these laptops. “Do laptops reach an equilibrium on their merits and their flaws” remains a recurring question.

William Mullinax, Reporter

School laptops: most of them bear myriad problems when first booted up. The opinions on these school-provided computers vary wildly. NC started this venture just before the new school year, strongly encouraging people to sign up for these portable computers. From love to hate, necessity requires open communication of both sides of the story.

The main reason for the hate of school laptops comes from the fact that they usually do not work at first. Connection errors and difficulty logging in, plague these minicomputers, making students very unhappy with the supposedly beneficial computers.

Someone pasted calculated crystals at this point.
/*
Entry 1:
Computed, not measured: crystalline SrCd2InAg at its relaxed geometry at the PBE-GGA level of DFT. Values from VASP.

```
&SYSTEM
  ibrav = 0, nat = 5, ntyp = 4
/
ATOMIC_SPECIES
Cd 112.41 Cd.upf
Ag 107.87 Ag.upf
Sr 87.62 Sr.upf
In 114.82 In.upf
CELL_PARAMETERS angstrom
-4.093 0.954 -1.595
-1.273 -4.421 0.621
0.697 3.138 6.425
ATOMIC_POSITIONS crystal
Cd 0.700 0.200 0.401
Ag 0.834 0.834 0.667
Sr 0.436 0.436 0.872
In 0.194 0.694 0.388
Cd 0.048 0.048 0.096
```

Results
SG: No. 44
Formation energy from the elements, eV per atom: -0.26
Crystal system: orthorhombic

***

Entry 2:
Computed, not measured: crystalline Ba2CaMg2 at its relaxed geometry at the PBE-GGA level of DFT. Values from VASP.

```
&SYSTEM
  ibrav = 0, nat = 10, ntyp = 3
/
ATOMIC_SPECIES
Ca 40.08 Ca.upf
Mg 24.30 Mg.upf
Ba 137.33 Ba.upf
CELL_PARAMETERS angstrom
5.880 0.000 0.000
0.000 7.507 -2.308
0.000 -0.526 9.702
ATOMIC_POSITIONS crystal
Ca 0.250 0.435 0.729
Mg 0.750 0.619 0.630
Ca 0.750 0.565 0.271
Ba 0.250 0.885 0.099
Mg 0.250 0.381 0.370
Ba 0.750 0.115 0.901
Ba 0.750 0.141 0.424
Mg 0.250 0.403 0.064
Ba 0.250 0.859 0.576
Mg 0.750 0.597 0.936
```

Results
SG: No. 11
Formation energy from the elements, eV per atom: -0.01
Energy above the most stable polymorph in this dataset, meV per atom: 0
Crystal system: monoclinic

***

Entry 3:
Computed, not measured: crystalline TbNd2SmMg at its relaxed geometry at the PBE-GGA level of DFT. Values from VASP.

```
&SYSTEM
  ibrav = 0, nat = 10, ntyp = 4
/
ATOMIC_SPECIES
Sm 150.36 Sm.upf
Nd 144.24 Nd.upf
Tb 158.93 Tb.upf
Mg 24.30 Mg.upf
CELL_PARAMETERS angstrom
7.342 0.000 0.000
0.000 7.313 1.433
0.000 -1.151 5.882
ATOMIC_POSITIONS crystal
Sm 0.845 0.500 0.250
Nd 0.689 0.717 0.750
Sm 0.155 0.500 0.750
Tb 0.372 0.000 0.750
Nd 0.689 0.283 0.750
Mg 0.000 0.000 0.000
Nd 0.311 0.717 0.250
Mg 0.000 0.000 0.500
Nd 0.311 0.283 0.250
Tb 0.628 0.000 0.250
```

Results
SG: No. 51
Formation energy from the elements, eV per atom: 0.16
Crystal system: orthorhombic

***

Entry 4:
Computed, not measured: crystalline K3Ce at its relaxed geometry at the PBE-GGA level of DFT. Values from VASP.

```
&SYSTEM
  ibrav = 0, nat = 4, ntyp = 2
/
ATOMIC_SPECIES
Ce 140.12 Ce.upf
K 39.10 K.upf
CELL_PARAMETERS angstrom
7.974 0.047 0.000
3.458 7.185 0.000
-5.716 -3.616 4.224
ATOMIC_POSITIONS crystal
Ce 0.000 0.000 0.000
K 0.500 0.500 0.000
K 0.250 0.750 0.500
K 0.750 0.250 0.500
```

Results
SG: No. 139
Formation energy from the elements, eV per atom: 0.64
Energy above the most stable polymorph in this dataset, meV per atom: 2
Crystal system: tetragonal

***

Entry 5:
Computed, not measured: crystalline NaTlZnSb at its relaxed geometry at the PBE-GGA level of DFT. Values from VASP.

```
&SYSTEM
  ibrav = 0, nat = 4, ntyp = 4
/
ATOMIC_SPECIES
Na 22.99 Na.upf
Sb 121.76 Sb.upf
Zn 65.41 Zn.upf
Tl 204.38 Tl.upf
CELL_PARAMETERS angstrom
-4.239 -2.622 1.614
0.087 -2.564 4.568
-2.795 1.782 4.057
ATOMIC_POSITIONS crystal
Na 0.500 0.500 0.500
Sb 0.750 0.750 0.750
*/

“I think the school laptops are incredibly annoying. The constant updates, poor battery life, and practically every other useful website being blocked make for a horrible user experience,” junior Ayden Porch said. 

A majority of the help received from the media center comes in the form of the librarians telling students that they just need to restart their computers when they arrive at their house. This can frustrate students trying to troubleshoot. Although the librarians provide valid advice, this can become disheartening for pupils when they must constantly restart their computer despite it refusing to cooperate. It becomes hard to see the reason for liking these laptops when a student draws the short end of the stick. Though, when they work, the machines become useful tools

“I think it’s really important that each kid has a device that’s compatible with the school network and is the same throughout the student body. It just makes good sense in the 21st century for every kid to have a device. And for those devices to be able to be repaired and understood because every child has the same one,” Assistant Principal and magnet program coordinator James Auld said.

These laptops, freely provided to the students by the school, come at no charge to the student apart from the time to enter the library and pick one up. For those who cannot find any way to gain access to the internet at their place of residence, these portable computers provide valuable resources. If not taken full advantage of, these complementary laptops would become nothing short of a waste of the school’s funding.

The difficulty to admit the truth comes in the form of distaste for the non-functionality of computers. However, the fact remains that even though one may experience difficulty in using the laptops at first, if it resolves itself in a timely manner, the benefits of using laptops may far outweigh the disadvantages. This could counter the rocky start that these mini-computers continue to endure.